Bugs in the BWCA
Yes, there are still bugs in the Boundary Waters. I wouldn’t believe it unless I had experienced it first hand and I can honestly tell you there are still some mosquitoes roaming around as well as some biting flies. Normally this time of the year would be bug free but nothing is normal about this year.
“OUCH!” There isn’t anything in the Boundary Waters that makes me say “Ouch” more than a biting fly. The bad thing about them, besides the fact it hurts to get bit by one is that bug repellant doesn’t keep them away. They are also quick and I normally can’t get revenge on them by killing them and I end up inflicting even more pain upon myself in an effort to slap them.
Which fly exactly am I talking about? Here’s a great description I saw in a recent article, I highlighted some of the important features.
Written by Tom Funke
A faithful reader has asked that I write an article about all the biting bugs we get to experience during Michigan’s warm months. This has been simmering on the back of my brain for several weeks as there are so many bugs to choose from.
Many of us are familiar with the pesky mosquito, the nagging black fly, the near invisible no-see-um, the horsefly and the deer fly. But there is an insect that has as special place on the flyswatter for me.
Last week, I was visiting Crisp Point on the shore of Lake Superior. It was a humid day, and the lighthouse volunteers (a family of four) were huddled in the gift shop building.
“Black Flies,” they said.
“Black Flies?” I replied, puzzled.
Black flies are a mid-spring malady in the north woods. They usually are long gone by Independence Day. I told them I would check it out and get back to them.
Records of crystals, kept here for reference.
=====
Version one
This record from the Alexandria database describes a relaxed Nd2SmSc3 crystal. The functional is GGA-PBE.

Computed properties:
M_tot	0.0	μB per cell

abc: 3.583 3.583 13.654
angles: 90.00 90.00 90.00
Sites, in units of the cell vectors:
Nd 0.000 0.000 0.167
Nd 0.000 0.000 0.833
Sm 0.000 0.000 0.500
Sc 0.500 0.500 0.000
Sc 0.500 0.500 0.335
Sc 0.500 0.500 0.665

=====

Version two
This record from the Alexandria database describes a relaxed Nd2SmSc3 crystal. The functional is GGA-PBE.

Computed properties:
M_tot	0.0	μB per cell

abc: 8.475 8.475 9.941
angles: 120.84 120.84 36.92
Sites, in units of the cell vectors:
Nd 0.031 0.031 0.344
Nd 0.301 0.301 0.655
Nd 0.699 0.699 0.345
Nd 0.969 0.969 0.656
Sm 0.365 0.365 0.345
Sm 0.635 0.635 0.655
Sc 0.115 0.115 0.095
Sc 0.219 0.219 0.906
Sc 0.449 0.449 0.096
Sc 0.551 0.551 0.904
Sc 0.781 0.781 0.094
Sc 0.885 0.885 0.905

=====

Relative energies, in kJ/mol of atoms, with the most stable structure set to zero: version one 0.0; version two 3.3.

=====

Version one
This record from the Alexandria database describes a relaxed NdSmSc4 crystal. The functional is GGA-PBE.

Computed properties:
M_tot	0.0	μB per cell

abc: 9.896 9.896 5.383
angles: 90.00 90.00 141.09
Sites, in units of the cell vectors:
Nd 0.124 0.876 0.750
Nd 0.876 0.124 0.250
Sm 0.374 0.626 0.250
Sm 0.626 0.374 0.750
Sc 0.042 0.459 0.750
Sc 0.210 0.293 0.750
Sc 0.293 0.210 0.250
Sc 0.459 0.042 0.250
Sc 0.541 0.958 0.750
Sc 0.707 0.790 0.750
Sc 0.790 0.707 0.250
Sc 0.958 0.541 0.250

=====

Version two
This record from the Alexandria database describes a relaxed NdSmSc4 crystal. The functional is GGA-PBE.

Computed properties:
M_tot	0.0	μB per cell

abc: 5.374 10.261 6.036
angles: 90.00 90.00 90.00
Sites, in units of the cell vectors:
Nd 0.250 0.250 0.074
Nd 0.750 0.750 0.926
Sm 0.250 0.750 0.574
Sm 0.750 0.250 0.426
Sc 0.250 0.078 0.593
Sc 0.250 0.422 0.593
Sc 0.250 0.579 0.093
Sc 0.250 0.921 0.093
Sc 0.750 0.079 0.907
Sc 0.750 0.421 0.907
Sc 0.750 0.578 0.407
Sc 0.750 0.922 0.407

=====

Relative energies, in kJ/mol of atoms, with the most stable structure set to zero: version one 3.1; version two 0.0.

=====

Version one
This record from the Alexandria database describes a relaxed Nd4Sm3Sc crystal. The functional is GGA-PBE.

Computed properties:
M_tot	0.0	μB per cell

abc: 11.642 7.314 6.308
angles: 90.00 90.00 90.00
Sites, in units of the cell vectors:
Nd 0.000 0.129 0.000
Nd 0.000 0.871 0.484
Nd 0.242 0.870 0.832
Nd 0.258 0.130 0.332
Nd 0.500 0.129 0.984
Nd 0.500 0.871 0.500
Nd 0.742 0.130 0.332
Nd 0.758 0.870 0.832
=====
It didn’t take long, I knew exactly what the offending bug was within seconds of stepping on the beach.
“What you have is a bad case of the stable fly.” was my official response.
Also known as the barn fly, biting house fly, dog fly, or power mower fly, Stomoxys calcitrans is the same fly from which our livestock suffer. They are unusual for their family — they suck blood from their hosts.
Stable flies look identical to your normal house fly. One slight difference is a stable fly has a wider abdomen, probably to hold all that blood. Both male and females feed on the blood of just about any animal it can find, they are not picky eaters.
If you’ve ever set on the shore of Lake Superior on a wide, sandy beach during a hot, sunny, and humid day, you may have experienced these nasty little bugs. They are especially prevalent when there is a humid wind with any sort of southerly direction to it. It is hypothesized that the wind blows them out of the forest and onto the beach where they seek out to ruin our Upper Peninsula experiences.
Stable flies, when they bite, it hurts. And I really do mean hurt. Instead of a sponge, like most flies, their mouth parts resemble a dagger that pierces the skin.
They are quick, also and difficult to swat by hand. They are also not affected by bug spray. Yes, that is right, don’t even waste your time spraying yourself.
One saving grace is they tend to land on our leg. Keeping them covered will prevent them from biting. They are also only active during the day.
When done sucking your blood or that of a woodland critter, the stable fly male will mate with the female, and dies soon thereafter. The female will lay her eggs in rotting vegetation, dung, or other rotting material, then die as well.
The stable fly is yet another introduced species that wreaks havoc on humans. It is thought they were introduced into North America from Europe during the 1700’s when we brought horses and other livestock to the New World.
Thanks to Ed Koehn for the inspiration. Story ideas welcome at 50uphikes@gmail.com.